**Input:**
┌──
DFT (GGA-PBE) results for SrGaBO4 after structural relaxation.

Cell lengths 8.999, 15.581, 5.879 Å; angles 90.00, 90.00, 90.00 degrees
Element x y z (fractional)
1 Sr 0.116 0.150 0.108
2 Sr 0.116 0.350 0.608
3 Sr 0.384 0.150 0.608
4 Sr 0.384 0.350 0.108
5 Sr 0.616 0.650 0.892
6 Sr 0.616 0.850 0.392
7 Sr 0.884 0.650 0.392
8 Sr 0.884 0.850 0.892
9 Ga 0.239 0.551 0.132
10 Ga 0.239 0.949 0.632
11 Ga 0.261 0.551 0.632
12 Ga 0.261 0.949 0.132
13 Ga 0.739 0.051 0.868
14 Ga 0.739 0.449 0.368
15 Ga 0.761 0.051 0.368
16 Ga 0.761 0.449 0.868
17 B 0.019 0.643 0.872
18 B 0.019 0.857 0.372
19 B 0.481 0.643 0.372
20 B 0.481 0.857 0.872
21 B 0.519 0.143 0.128
22 B 0.519 0.357 0.628
23 B 0.981 0.143 0.628
24 B 0.981 0.357 0.128
25 O 0.072 0.618 0.086
26 O 0.072 0.882 0.586
27 O 0.095 0.622 0.672
28 O 0.095 0.878 0.172
29 O 0.111 0.189 0.643
30 O 0.111 0.311 0.143
31 O 0.225 0.020 0.885
32 O 0.225 0.480 0.385
33 O 0.275 0.020 0.385
34 O 0.275 0.480 0.885
35 O 0.389 0.189 0.143
36 O 0.389 0.311 0.643
37 O 0.405 0.622 0.172
38 O 0.405 0.878 0.672
39 O 0.428 0.618 0.586
40 O 0.428 0.882 0.086
41 O 0.572 0.118 0.914
42 O 0.572 0.382 0.414
43 O 0.595 0.122 0.328
44 O 0.595 0.378 0.828
45 O 0.611 0.689 0.357
46 O 0.611 0.811 0.857
47 O 0.725 0.520 0.115
48 O 0.725 0.980 0.615
49 O 0.775 0.520 0.615
50 O 0.775 0.980 0.115
51 O 0.889 0.689 0.857
52 O 0.889 0.811 0.357
53 O 0.905 0.122 0.828
54 O 0.905 0.378 0.328
55 O 0.928 0.118 0.414
56 O 0.928 0.382 0.914

Space-group type: Pccn (56)
Total moment (Bohr magnetons per cell): 0.00
ΔE_f (eV per atom): -2.898
E (eV/atom): -6.961

~~~~~

No. 1
Material: PuAu3
Method: DFT, PBE
State: optimized geometry

a b c (Å): 4.906 4.906 4.906
angles (deg): 60.00 60.00 60.00
Fractional positions:
Pu (0.000, 0.000, 0.000)
Au (0.250, 0.250, 0.250)
Au (0.750, 0.750, 0.750)
Au (0.500, 0.500, 0.500)

Results
**V**: 83.5 Å³/cell
**Calculated formation energy**: 0.5 eV/f.u.
**Size of the total moment**: 0.28 μB per formula unit

=====

No. 2
Material: MgCu2Rh4S8
Method: DFT, PBE
State: optimized geometry

a b c (Å): 7.183 7.183 7.375
angles (deg): 59.11 59.11 59.74
Fractional positions:
Mg (0.665, 0.665, 0.085)
Cu (0.923, 0.923, 0.827)
Cu (0.123, 0.123, 0.127)
Rh (0.489, 0.489, 0.002)
Rh (0.489, 0.489, 0.520)
Rh (0.998, 0.485, 0.508)
Rh (0.485, 0.998, 0.508)
S (0.743, 0.743, 0.711)
S (0.253, 0.253, 0.721)
S (0.254, 0.715, 0.265)
S (0.715, 0.254, 0.265)
S (0.724, 0.290, 0.743)
S (0.290, 0.724, 0.743)
S (0.253, 0.253, 0.273)
S (0.743, 0.743, 0.302)

Results
**V**: 264.9 Å³/cell
**Calculated formation energy**: -10.5 eV/f.u.
**Size of the total moment**: 0.00 μB per formula unit
**Energy above the most stable polymorph in this dataset**: 46 meV/atom

=====

No. 3
Material: YMg14Ti
Method: DFT, PBE
State: optimized geometry

a b c (Å): 6.485 6.485 10.224
angles (deg): 90.00 90.00 120.00
Fractional positions:
Y (0.167, 0.333, 0.125)
Mg (0.175, 0.837, 0.125)
Mg (0.168, 0.834, 0.625)
Mg (0.663, 0.325, 0.125)
Mg (0.666, 0.332, 0.625)
Mg (0.663, 0.837, 0.125)
Mg (0.666, 0.834, 0.625)
Mg (0.333, 0.167, 0.382)
Mg (0.333, 0.167, 0.868)
Mg (0.333, 0.665, 0.382)
Mg (0.333, 0.665, 0.868)
Mg (0.835, 0.167, 0.382)
Mg (0.835, 0.167, 0.868)
Mg (0.833, 0.667, 0.372)
Mg (0.833, 0.667, 0.878)
Ti (0.167, 0.333, 0.625)

Results
**V**: 372.4 Å³/cell
**Calculated formation energy**: 1.0 eV/f.u.
**Size of the total moment**: 2.46 μB per formula unit
**Energy above the most stable polymorph in this dataset**: 15 meV/atom

=====

calculated formation energy of number 2 (MgCu2Rh4S8)?
-10.5 eV/f.u.

=====

Which value of calculated formation energy does entry 2 give?
-10.5 eV/f.u.

=====

The lowest size of the total moment belongs to which entry?
MgCu2Rh4S8
└──

**Brief:**
Please set down the listing further up unchanged.

**Written answer:**
DFT (GGA-PBE) results for SrGaBO4 after structural relaxation.

Cell lengths 8.999, 15.581, 5.879 Å; angles 90.00, 90.00, 90.00 degrees
Element x y z (fractional)
1 Sr 0.116 0.150 0.108
2 Sr 0.116 0.350 0.608
3 Sr 0.384 0.150 0.608
4 Sr 0.384 0.350 0.108
5 Sr 0.616 0.650 0.892
6 Sr 0.616 0.850 0.392
7 Sr 0.884 0.650 0.392
8 Sr 0.884 0.850 0.892
9 Ga 0.239 0.551 0.132
10 Ga 0.239 0.949 0.632
11 Ga 0.261 0.551 0.632
12 Ga 0.261 0.949 0.132
13 Ga 0.739 0.051 0.868
14 Ga 0.739 0.449 0.368
15 Ga 0.761 0.051 0.368
16 Ga 0.761 0.449 0.868
17 B 0.019 0.643 0.872
18 B 0.019 0.857 0.372
19 B 0.481 0.643 0.372
20 B 0.481 0.857 0.872
21 B 0.519 0.143 0.128
22 B 0.519 0.357 0.628
23 B 0.981 0.143 0.628
24 B 0.981 0.357 0.128
25 O 0.072 0.618 0.086
26 O 0.072 0.882 0.586
27 O 0.095 0.622 0.672
28 O 0.095 0.878 0.172
29 O 0.111 0.189 0.643
30 O 0.111 0.311 0.143
31 O 0.225 0.020 0.885
32 O 0.225 0.480 0.385
33 O 0.275 0.020 0.385
34 O 0.275 0.480 0.885
35 O 0.389 0.189 0.143
36 O 0.389 0.311 0.643
37 O 0.405 0.622 0.172
38 O 0.405 0.878 0.672
39 O 0.428 0.618 0.586
40 O 0.428 0.882 0.086
41 O 0.572 0.118 0.914
42 O 0.572 0.382 0.414
43 O 0.595 0.122 0.328
44 O 0.595 0.378 0.828
45 O 0.611 0.689 0.357
46 O 0.611 0.811 0.857
47 O 0.725 0.520 0.115
48 O 0.725 0.980 0.615
49 O 0.775 0.520 0.615
50 O 0.775 0.980 0.115
51 O 0.889 0.689 0.857
52 O 0.889 0.811 0.357
53 O 0.905 0.122 0.828
54 O 0.905 0.378 0.328
55 O 0.928 0.118 0.414
56 O 0.928 0.382 0.914

Space-group type: Pccn (56)
Total moment (Bohr magnetons per cell): 0.00
ΔE_f (eV per atom): -2.898
E (eV/atom): -6.961

~~~~~

No. 1
Material: PuAu3
Method: DFT, PBE
State: optimized geometry

a b c (Å): 4.906 4.906 4.906
angles (deg): 60.00 60.00 60.00
Fractional positions:
Pu (0.000, 0.000, 0.000)
Au (0.250, 0.250, 0.250)
Au (0.750, 0.750, 0.750)
Au (0.500, 0.500, 0.500)

Results
**V**: 83.5 Å³/cell
**Calculated formation energy**: 0.5 eV/f.u.
**Size of the total moment**: 0.28 μB per formula unit

=====

No. 2
Material: MgCu2Rh4S8
Method: DFT, PBE
State: optimized geometry

a b c (Å): 7.183 7.183 7.375
angles (deg): 59.11 59.11 59.74
Fractional positions:
Mg (0.665, 0.665, 0.085)
Cu (0.923, 0.923, 0.827)
Cu (0.123, 0.123, 0.127)
Rh (0.489, 0.489, 0.002)
Rh (0.489, 0.489, 0.520)
Rh (0.998, 0.485, 0.508)
Rh (0.485, 0.998, 0.508)
S (0.743, 0.743, 0.711)
S (0.253, 0.253, 0.721)
S (0.254, 0.715, 0.265)
S (0.715, 0.254, 0.265)
S (0.724, 0.290, 0.743)
S (0.290, 0.724, 0.743)
S (0.253, 0.253, 0.273)
S (0.743, 0.743, 0.302)

Results
**V**: 264.9 Å³/cell
**Calculated formation energy**: -10.5 eV/f.u.
**Size of the total moment**: 0.00 μB per formula unit
**Energy above the most stable polymorph in this dataset**: 46 meV/atom

=====

No. 3
Material: YMg14Ti
Method: DFT, PBE
State: optimized geometry

a b c (Å): 6.485 6.485 10.224
angles (deg): 90.00 90.00 120.00
Fractional positions:
Y (0.167, 0.333, 0.125)
Mg (0.175, 0.837, 0.125)
Mg (0.168, 0.834, 0.625)
Mg (0.663, 0.325, 0.125)
Mg (0.666, 0.332, 0.625)
Mg (0.663, 0.837, 0.125)
Mg (0.666, 0.834, 0.625)
Mg (0.333, 0.167, 0.382)
Mg (0.333, 0.167, 0.868)
Mg (0.333, 0.665, 0.382)
Mg (0.333, 0.665, 0.868)
Mg (0.835, 0.167, 0.382)
Mg (0.835, 0.167, 0.868)
Mg (0.833, 0.667, 0.372)
Mg (0.833, 0.667, 0.878)
Ti (0.167, 0.333, 0.625)

Results
**V**: 372.4 Å³/cell
**Calculated formation energy**: 1.0 eV/f.u.
**Size of the total moment**: 2.46 μB per formula unit
**Energy above the most stable polymorph in this dataset**: 15 meV/atom

=====

calculated formation energy of number 2 (MgCu2Rh4S8)?
-10.5 eV/f.u.

=====

Which value of calculated formation energy does entry 2 give?
-10.5 eV/f.u.

=====

The lowest size of the total moment belongs to which entry?
MgCu2Rh4S8